Types of membership of Opus Dei

The Catholic organisation Opus Dei is made up of several different types of membership:
Types of membership
Supernumeraries, the largest type, currently account for about 70% of the total membership.[1] The term "supernumerary" is a civil designation for an additional member of a society, for example professors, judges, actors, etc.
Typically, the supernumeraries of the Opus Dei prelature are married men and women who have secular careers and lead traditional family lives. Supernumeraries often devote a portion of their day to prayer, in addition to attending regular meetings and taking part in activities such as retreats. Due to their career and family obligations, supernumeraries are not as available to the organization as the other types of members, but they typically contribute financially to Opus Dei, and they lend other types of assistance as their circumstances permit. Unlike other types of members, supernumeraries are not required to be celibate.
Numeraries, the second largest type of members of Opus Dei, comprise about 20% of total membership.[1] Numeraries are celibate members who usually live in special centers run by Opus Dei. "Numerary" is a general term for persons who form part of the permanent staff of an organization.
Both men and women may become numeraries in the Opus Dei prelature, although the centers are gender-segregated, with only minimal contact between male and female numeraries.[2] Numeraries are required to be celibate. Numeraries generally have normal careers and devote the bulk of their income to the organization.[3] According to Opus Dei's 1982 statutes, potential numeraries ordinarily "ought to have a civil academic degree or professional equivalent, or be able, at least, to obtain one after the admission"[4]
The priests of Opus Dei comprise about 2% of the membership.[1] They always hail from among the male numeraries and associates and have typically lived as lay members for several years before their ordination. At their ordination, they are incardinated into the Personal Prelature of the Holy Cross and Opus Dei, meaning the prelate of Opus Dei becomes their bishop. Priests of Opus Dei observe the same disciplines as numerary and associate members, including living in Opus Dei centers.
The Priestly Society of the Holy Cross is an integral part of Opus Dei, not a separate entity simply associated with Opus Dei. Part of the society is made up of the clergy of the Opus Dei prelature—members of the priesthood who fall under the jurisdiction of the Opus Dei prelature are automatically members of the Priestly Society. Other members in the society are traditional diocesan priests--- clergy who remain under the jurisdiction of their diocesan bishop. Technically speaking, such diocesan priests have not "joined" Opus Dei membership, although they have joined a society that is closely affiliated with Opus Dei.[5]
Numerary assistants
Numerary assistants are unmarried, female members of Opus Dei. Like the numeraries, they live in special centers run by Opus Dei. Unlike numeraries (who may be men or women), the numerary assistants do not have conventional jobs outside of the centers—instead, their professional life is dedicated to looking after the domestic needs of the centers. Numerary assistants are required to be celibate.
Associates are unmarried, celibate members who typically have family or professional obligations.[3] Unlike numeraries and numerary assistants, the associates do not live inside the special Opus Dei centers.[6]
The official statutes of Opus Dei discuss Associates thus:
Those lay faithful are called Associates, who surrender their full life to the Lord in apostolic celibacy in keeping with the spirit of Opus Dei; nevertheless, they must devote themselves to concrete and permanent personal, family or professional obligations which ordinarily lead them to live with their own families. They resolve all these things, at the same time as they fulfil some duty of apostolate or formation in Opus Dei.
The Cooperators of Opus Dei are those who, though not considered members by Opus Dei, collaborate in some way with Opus Dei—usually through praying, charitable contributions, or by providing some other assistance. Cooperators are not required to be celibate or to adhere to any other special requirements. Indeed, cooperators are not even required to be Christian.[5]
Calculated crystals from another source follow
{
  "formula": "Mn3NiO10",
  "functional": "PBE+U",
  "state": "optimized geometry",
  "volume_a3_per_cell": 346.0,
  "formation_enthalpy_0k_ev_per_atom": -1.014,
  "dft_energy_ev_per_atom": -5.8944,
  "energy_mp2020_ev_per_cell": -193.87,
  "lattice": [[3.8109, 2.2002, 6.8768], [-3.8109, 2.2002, 6.8768], [0.0000, -4.4005, 6.8768]],
  "species": ["Mn", "Mn", "Mn", "Mn", "Mn", "Mn", "Ni", "Ni", "O", "O", "O", "O", "O", "O", "O", "O", "O", "O", "O", "O", "O", "O", "O", "O", "O", "O", "O", "O"],
  "fractional_positions": [[0.0767, 0.7830, 0.6420], [0.2170, 0.3580, 0.9233], [0.3580, 0.9233, 0.2170], [0.6420, 0.0767, 0.7830], [0.7830, 0.6420, 0.0767], [0.9233, 0.2170, 0.3580], [0.4045, 0.4045, 0.4045], [0.5955, 0.5955, 0.5955], [0.0731, 0.6409, 0.9267], [0.0733, 0.9269, 0.3591], [0.1964, 0.5209, 0.3045], [0.2051, 0.4993, 0.6446], [0.2116, 0.2116, 0.2116], [0.3045, 0.1964, 0.5209], [0.3554, 0.7949, 0.5007], [0.3591, 0.0733, 0.9269], [0.4791, 0.6955, 0.8036], [0.4993, 0.6446, 0.2051], [0.5007, 0.3554, 0.7949], [0.5209, 0.3045, 0.1964], [0.6409, 0.9267, 0.0731], [0.6446, 0.2051, 0.4993], [0.6955, 0.8036, 0.4791], [0.7884, 0.7884, 0.7884], [0.7949, 0.5007, 0.3554], [0.8036, 0.4791, 0.6955], [0.9267, 0.0731, 0.6409], [0.9269, 0.3591, 0.0733]]
}

----------

{
  "formula": "Li3SbS4",
  "functional": "PBE-GGA",
  "state": "optimized geometry",
  "e_above_lowest_polymorph_mev_per_atom": 60,
  "formation_enthalpy_0k_ev_per_atom": -1.040,
  "mass_density_g_cm3": 2.61,
  "piezo_max_c_m2": 0.82,
  "energy_corrected_mp2020_ev_per_atom": -4.34,
  "lattice": [[6.213, -4.004, 0.000], [6.213, 4.004, 0.000], [-0.025, 0.000, 6.919]],
  "species": ["Li", "Li", "Li", "Li", "Li", "Li", "Sb", "Sb", "S", "S", "S", "S", "S", "S", "S", "S"],
  "fractional_positions": [[0.099, 0.901, 0.500], [0.306, 0.557, 0.260], [0.552, 0.786, 0.705], [0.557, 0.306, 0.760], [0.786, 0.552, 0.205], [0.901, 0.099, 0.000], [0.080, 0.390, 0.676], [0.390, 0.080, 0.176], [0.202, 0.853, 0.838], [0.246, 0.562, 0.904], [0.456, 0.777, 0.355], [0.562, 0.246, 0.404], [0.641, 0.993, 0.931], [0.777, 0.456, 0.855], [0.853, 0.202, 0.338], [0.993, 0.641, 0.431]]
}

----------

## Mg6AlNi (PBE)

Data for crystalline Mg6AlNi at its relaxed geometry.

Calculated values
As for the offset from the most stable computed form: 0.000 eV/atom.

Cell lengths 4.728, 6.180, 10.529 Å; angles 90.00, 90.00, 90.00 degrees
Positions (direct):
Mg (0.000, 0.263, 0.089)
Mg (0.000, 0.737, 0.089)
Mg (0.000, 0.500, 0.833)
Mg (0.500, 0.244, 0.910)
Mg (0.500, 0.756, 0.910)
Mg (0.500, 0.500, 0.664)
Mg (0.000, 0.763, 0.589)
Mg (0.000, 0.237, 0.589)
Mg (0.000, 0.000, 0.333)
Mg (0.500, 0.744, 0.410)
Mg (0.500, 0.256, 0.410)
Mg (0.500, 0.000, 0.164)
Al (0.000, 0.500, 0.322)
Al (0.000, 0.000, 0.822)
Ni (0.500, 0.500, 0.183)
Ni (0.500, 0.000, 0.683)



## Ba6LiNb2IrCl2O12 (PBE)

Data for crystalline Ba6LiNb2IrCl2O12 at its relaxed geometry.

Calculated values
Cooperators may attend the educational and training activities provided by the Opus Dei. Many cooperators are relatives, friends, colleagues and neighbors of the members of Opus Dei. Religious communities as a whole can also become cooperators of Opus Dei. There are currently several hundred of these communities who pray for Opus Dei daily.
Admission and Incorporation
To become a member of Opus Dei one has to receive a divine calling or a vocation, a calling which requires practising the modes of the Opus Dei prelature. For this the directors of Opus Dei will have to discern if someone does have the vocation, before allowing him to be incorporated into the prelature.
Incorporation into Opus Dei is done through a written contractual bond between the person who has the vocation and the prelature.
Manner of incorporation
There are some key procedures that be followed for someone to become a member of Opus Dei:
- Freedom
- In order to join Opus Dei a person must freely ask to do so, in the personal conviction of having received this divine vocation. He may find this out through his prayer and usually with the help of a spiritual director.
- Adulthood
- In accordance with canon law, no one may be juridically incorporated into the prelature until he has reached 18 years of age.
- Nevertheless, from the age of 14 years and 6 months, a young person can show his interest in the organization, and begin to participate in its activities: recollections, retreats, seminars, spiritual direction, apostolate.
- Written request
- The request is made in writing.
- Acceptance by the prelature
- The request needs to have been accepted by the authorities of the prelature and admission is granted after a minimum of six months. After a period of at least a year, the interested person can be incorporated temporarily to the prelature by means of a formal declaration of contractual nature. This is known as oblation, and is renewable annually.
Stages of membership: Admission and incorporation
Admission is granted after a minimum of six months.
After an additional period of at least one year since the moment of his admission, the person can be temporarily incorporated into the prelature (oblation) through a formal declaration of a contractual nature, which is renewable annually.
After a minimum of five more years, the incorporation can become definitive. This step is called Fidelity, that ties to perpetuity to the member of the Opus Dei. If the member wishes to leave the prelature, he needs a dispensation which the Prelate alone can grant.
If anyone, before incorporation as a Numerary or Associate is seen to lack suitability for that, he may be retained as a Supernumerary, as long as he has the requisite conditions.
Content of the incorporation and contract
On the part of the prelature: The prelature is committed to provide the member with formation in the Catholic Christian faith and in the spirit of the Work, as well as the necessary pastoral care from the priests of the prelature.
On the part of the person to be incorporated: incorporation means the commitment to remain under the jurisdiction of the prelate in all that concerns the aim of the prelature: sanctity and apostolate in the middle of the world. He is also to observe the norms by which the prelature is governed, and to fulfill the other obligations of its faithful.
In summary, all the faithful of the prelature commit themselves to seeking sanctity and to carrying out apostolate according to the spirit of Opus Dei. This involves, principally, growing in spiritual life through prayer, sacrifice, and receiving the sacraments; using the opportunities that the prelature provides for acquiring a deep knowledge of the doctrine of the Church and the spirit of Opus Dei; and taking part in the task of spreading the Word carried out by the prelature, according to the circumstances and situations of each person.
Cessation of the bond and "lawful" departure
At the end of the term of the contract with the prelature the bond with the prelature of Opus Dei ceases. It can also end earlier, if the member requests for it in agreement with the directors of the Opus Dei. If permission for departure is given it is considered a "lawful departure" ("exitus legitimus" according to the currently applicable Latin version of Opus Statutes).
When someone leaves the prelature lawfully, there is a cessation or ending of mutual rights and duties. Opus Dei does not give back any goods or money received during membership.
- 29."During temporary incorporation or when the definitive [incorporation] has already been made, for anyone to voluntarily leave the Praelature, he needs a dispensation which the Prelate alone can grant, after hearing from his own Council and Regional Commission".
- 30."The faithful, either temporarily or finally incorporated into the Prelature, cannot be dismissed except for serious causes which, if it is a question of final incorporation, always ought to proceed from the fault of the faithful person, himself".
- "Bad health is not a reason for dismissal unless it has certainly been established that it was deceitfully concealed or dissembled before temporary incorporation".
- 34."The person, who for whatever reason says farewell to the Prelature or is dismissed by it, can demand no recompense from it for services rendered to it, nor on account of what, whether by [his] industry or exercise of his own profession, or by any title or manner might have been paid him".
In other words, no departing member of Opus Dei may receive any compensation of any sort for the contributions that they may have made to Opus Dei during their time in the organisation, this applies to all categories of membership.
When, however, someone leaves the prelature unlawfully (i.e. without the permission of the Prelate) he or she commits mortal sin.
Jurisdictional issues
Nevertheless, the Congregation for Bishops states: "The laity incorporated in the Prelature Opus Dei continue to be faithful of the dioceses in which they have their domicile or quasidomicile and are, therefore, under the jurisdiction of the diocesan bishop in what the law lays down for all the ordinary faithful".
- 1982 Statutes of Opus Dei—Latin and English (unauthorized translation)
- John L. Allen, Jr. (2005). Opus Dei: An Objective Look Behind the Myths and Reality of the Most Controversial Force in the Catholic Church. Doubleday. ISBN 0-385-51449-2.—An investigative study by an American journalist
- Dominique Le Tourneau (2002). What Is Opus Dei?. Gracewing. ISBN 0-85244-136-3.—a French scholar's synthesis, himself a member of the Opus Dei.
- Vittorio Messori (1997). Opus Dei, Leadership and Vision in Today’s Catholic Church. Regnery Publishing. ISBN 0-89526-450-1.—an investigation (Un'indagine, the original Italian title) done by a journalist
- Giuseppe Romano (1995). Opus Dei: Who? How? Why?. Alba House. ISBN 0-8189-0739-8.—a study of an Italian essayist
- Jean-Jacques Thierry (1975). Opus Dei: A Close Up. Cortland Press.—the first serious study on Opus Dei to be published, written by a French journalist
- 1 2 3 Grossman, Ron (December 7, 2003). "Catholics scrutinize enigmatic Opus Dei". Chicago Tribune. Retrieved 2006-11-27. mirrored at Ross Institute
- ↑ Urquhart, Gordon (1997). "Conservative Catholic Influence in Europe". Catholics for a Free Choice. Retrieved 2006-11-27.
- 1 2 James Martin, S.J. (February 25, 1995). "Opus Dei In the United States". America: The National Catholic Weekly. Retrieved 2006-11-27.
- ↑ ODAN - Statutes of Opus Dei
- 1 2 Raphael Caamano. "The Priestly Society of the Holy Cross". Retrieved 2006-11-27.
- ↑ "Opus Dei". Cephas Library. Retrieved 2006-11-27.
External links
Unrelated to this entry: crystal structures >
********
Entry 1:
Density functional theory data (GGA-PBE) for crystalline Te2MoW3Se2S4 at its relaxed geometry.

a b c (Å): 3.309 3.309 37.656
angles (deg): 90.00 90.00 120.00
Element x y z (fractional)
Te 0.333 0.667 0.709
Te 0.333 0.667 0.606
Mo 0.667 0.333 0.282
W 0.333 0.667 0.094
W 0.333 0.667 0.470
W 0.667 0.333 0.658
Se 0.667 0.333 0.049
Se 0.667 0.333 0.139
S 0.333 0.667 0.322
S 0.667 0.333 0.429
S 0.667 0.333 0.510
S 0.333 0.667 0.241

Computed properties:
- Corrected total energy (MP2020 scheme): -7.322 eV/atom
- Distance to the lowest polymorph of the same formula: 38.3 meV per atom



Entry 2:
Density functional theory data (GGA-PBE) for crystalline Te2MoWSeS at its relaxed geometry.

a b c (Å): 3.398 3.398 38.713
angles (deg): 90.00 90.00 120.00
Element x y z (fractional)
Te 0.000 0.000 0.706
Te 0.333 0.667 0.046
Te 0.333 0.667 0.142
Te 0.000 0.000 0.609
Mo 0.000 0.000 0.094
Mo 0.000 0.000 0.470
W 0.333 0.667 0.282
W 0.333 0.667 0.658
Se 0.333 0.667 0.427
Se 0.333 0.667 0.512
S 0.000 0.000 0.321
S 0.000 0.000 0.243

Computed properties:
- Corrected total energy (MP2020 scheme): -6.773 eV/atom
- Distance to the lowest polymorph of the same formula: 20.6 meV per atom


# 1
Here is an optimized crystal structure of BaThO3 from the Materials Project. Energies are from GGA-PBE.

Properties
symmetry = Pm-3m (221)

Lattice parameters (Å, degrees): 4.6001 4.6001 4.6001 90.00 90.00 90.00
Closest atoms and distances in Å follow each position.
Positions (direct):
1 Ba 0.0000 0.0000 0.0000  12 O 3.25
2 Th 0.5000 0.5000 0.5000  6 O 2.30
3 O 0.0000 0.5000 0.5000  2 Th 2.30
4 O 0.5000 0.0000 0.5000  2 Th 2.30
5 O 0.5000 0.5000 0.0000  2 Th 2.30

# 2
Here is an optimized crystal structure of RbSmSe2O8 from the Materials Project. Energies are from GGA-PBE.

Properties
symmetry = P2_1/c (14)

Lattice parameters (Å, degrees): 9.3188 7.4538 11.1545 90.00 91.20 90.00
Closest atoms and distances in Å follow each position.
Positions (direct):
1 Rb 0.0637 0.1452 0.3405  7 O 2.89-3.15
2 Rb 0.0637 0.3548 0.8405  7 O 2.89-3.15
3 Rb 0.9363 0.6452 0.1595  7 O 2.89-3.15
4 Rb 0.9363 0.8548 0.6595  7 O 2.89-3.15
5 Sm 0.4473 0.6681 0.6518  8 O 2.41-2.56
6 Sm 0.4473 0.8319 0.1518  8 O 2.41-2.56
7 Sm 0.5527 0.1681 0.8482  8 O 2.41-2.56
8 Sm 0.5527 0.3319 0.3482  8 O 2.41-2.56
9 Se 0.2354 0.6584 0.4120  4 O 1.64-1.70
10 Se 0.2354 0.8416 0.9120  4 O 1.64-1.70
11 Se 0.3217 0.1673 0.6086  4 O 1.64-1.71
12 Se 0.3217 0.3327 0.1086  4 O 1.64-1.71
13 Se 0.6783 0.6673 0.8914  4 O 1.64-1.71
14 Se 0.6783 0.8327 0.3914  4 O 1.64-1.71
15 Se 0.7646 0.1584 0.0880  4 O 1.64-1.70
16 Se 0.7646 0.3416 0.5880  4 O 1.64-1.70
17 O 0.1013 0.5276 0.3730  1 Se 1.64
18 O 0.1013 0.9724 0.8730  1 Se 1.64
19 O 0.1464 0.1484 0.6054  1 Se 1.64
20 O 0.1464 0.3516 0.1054  1 Se 1.64
21 O 0.2175 0.7405 0.0458  1 Se 1.68
22 O 0.2175 0.7595 0.5458  1 Se 1.68
23 O 0.2668 0.6879 0.8054  1 Se 1.68
24 O 0.2668 0.8121 0.3054  1 Se 1.68
25 O 0.3719 0.1553 0.1965  1 Se 1.71
26 O 0.3719 0.3447 0.6965  1 Se 1.71
********
- Opus Dei Blogs - central hub of internet sources